Sports before 1800

_Molecular data from another source follow_
____________
No. 1
14 unconnected molecules or ions with the total composition C56H154N14O14 at a distorted geometry. Source: the Open Molecules 2025 dataset; level of theory: wB97M-V/def2-TZVPD.

Geometry (Å):
C1 -1.4336 -0.7454 -7.2331
C2 -1.3055 0.3731 -6.1619
C3 -1.9242 0.0850 -4.8616
O1 -3.3590 -0.0298 -5.1337
C4 -4.1605 0.3062 -4.0188
N1 0.1176 0.8339 -6.0095
H1 -0.8050 -1.6031 -7.0544
H2 -1.2257 -0.3390 -8.2223
H3 -2.4498 -1.0523 -7.1444
H4 -1.9378 1.2405 -6.5857
H5 -1.7828 0.9310 -4.1617
H6 -1.5324 -0.8725 -4.4588
H7 -5.1761 0.0321 -4.3825
H8 -4.0394 1.2982 -3.7401
H9 -3.9738 -0.3690 -3.1942
H10 0.1408 1.7919 -5.6105
H11 0.5996 0.9134 -6.8915
C5 -2.0600 4.3851 3.6425
C6 -2.6568 5.0188 2.3846
C7 -2.4666 6.6167 2.3545
O2 -3.0123 7.0907 1.1832
C8 -2.7656 8.4134 0.8251
N2 -1.9686 4.4565 1.2413
H12 -0.9792 4.4157 3.6853
H13 -2.2694 3.3295 3.6608
H14 -2.5008 4.8154 4.5327
H15 -3.7412 4.7849 2.3620
H16 -1.3643 6.8657 2.3727
H17 -2.9248 7.0797 3.2594
H18 -1.7026 8.5573 0.9428
H19 -3.2401 9.2150 1.3770
H20 -3.0355 8.5543 -0.2111
H21 -2.3782 4.7472 0.3627
H22 -2.1890 3.4544 1.2337
C9 -1.5468 -5.2875 2.1641
C10 -0.7990 -5.2114 0.8141
C11 0.4832 -6.0460 0.8450
O3 1.2415 -5.8590 -0.2963
C12 2.2094 -4.7765 -0.1963
N3 -1.6764 -5.5256 -0.3055
H23 -0.8670 -4.9017 2.9657
H24 -1.8577 -6.3033 2.4294
H25 -2.4242 -4.6466 2.2162
H26 -0.4032 -4.1529 0.6805
H27 0.2444 -7.1094 0.9336
H28 1.0845 -5.7648 1.7167
H29 1.7017 -3.8546 -0.0317
H30 2.7554 -4.7671 -1.1488
H31 2.8616 -4.9864 0.6586
H32 -1.1424 -5.5120 -1.1919
H33 -2.1317 -6.4352 -0.1825
C13 0.0413 4.8386 -1.8562
C14 1.1756 5.1744 -0.7988
C15 1.1344 6.6271 -0.3230
O4 1.3554 7.5151 -1.4062
C16 1.6808 8.8380 -0.9361
N4 1.0840 4.2234 0.3182
H34 0.4490 4.1770 -2.6472
H35 -0.2783 5.7661 -2.3289
H36 -0.8822 4.4000 -1.3863
H37 2.0711 5.0031 -1.3827
H38 1.9361 6.7160 0.3793
H39 0.1798 6.8499 0.2052
H40 1.9874 9.4698 -1.7714
H41 2.5205 8.8084 -0.2426
H42 0.7867 9.2142 -0.4314
H43 0.1181 4.2752 0.6910
H44 1.7390 4.4635 1.0690
C17 -9.3434 -2.8546 0.7279
C18 -7.9333 -3.5096 0.9473
C19 -6.8440 -2.7986 0.1626
O5 -5.7218 -3.6365 0.0751
C20 -4.5611 -2.9874 -0.3953
N5 -7.7940 -3.6435 2.3783
H45 -10.0574 -3.5478 1.1974
H46 -9.5126 -2.6196 -0.3119
H47 -9.4214 -1.8697 1.2677
H48 -8.0630 -4.5363 0.5659
H49 -6.5072 -1.8305 0.5996
H50 -7.1850 -2.6866 -0.9221
H51 -4.7038 -2.1909 -1.1189
H52 -3.8938 -3.6721 -0.8889
H53 -4.0809 -2.5734 0.5183
H54 -6.8711 -4.0251 2.5560
H55 -7.8078 -2.7421 2.8141
C21 -3.0931 -5.3758 -7.0251
C22 -4.2578 -5.1942 -6.1016
C23 -4.1862 -3.8672 -5.3617
O6 -3.0030 -3.7599 -4.5548
C24 -3.0285 -4.5734 -3.4302
N6 -5.5431 -5.3049 -6.8659
H56 -2.1058 -5.4803 -6.5573
H57 -3.1470 -4.5081 -7.6980
H58 -3.3290 -6.2818 -7.6514
H59 -4.2774 -6.0786 -5.4229
H60 -5.0341 -3.7730 -4.6313
H61 -4.2525 -3.0063 -6.0696
H62 -4.0385 -4.7841 -3.0927
H63 -2.4953 -4.0803 -2.6150
H64 -2.4993 -5.5150 -3.6893
H65 -6.2612 -5.0342 -6.1699
H66 -5.6475 -4.7565 -7.7451
C25 -3.3410 -0.1335 2.1030
C26 -4.3448 0.7720 1.4114
C27 -5.2563 1.4994 2.4208
____________

Original title:  Jouer et se divertir | Sociétés et territoires

Source: Link

While the settlement of Europeans in America posed many challenges, sports and social activities were an integral part of life in the colonial era. For example, Jean AMIOT, an interpreter and indentured employee of the Jesuits among the Huron during the New France era, was an outstanding competitive runner:

“Jean Amiot [brother of Mathieu and Charles] spent several years in the Huron country, and seems to have lived at Trois-Rivières from 1645 on. The Indians called him ‘Antaïok.’ In 1647 he outran and captured an Iroquois who had taken part in the martyrdom of Father Isaac Jogues. He was a remarkable athlete; in a tournament at Quebec he beat all the young Indians who tried to race against him, either on foot or on snowshoes.”

Lacrosse, a sport of Indigenous origin and very popular within several First Nations, aroused both the curiosity and the interest of Europeans. In 1763 the shrewd Ojibwa chief MADJECKEWISS organized a seemingly innocent lacrosse game that allowed him to accomplish an amazing feat:

“By his mid 20s [Madjeckewiss] was a respected war chief. In 1763, when Pontiac*’s forces besieged Detroit, Madjeckewiss welcomed the opportunity to help drive the British out of the west. Working closely with Minweweh*, Madjeckewiss planned the capture of Fort Michilimackinac (Mackinaw City, Mich.). Charles-Michel Mouet* de Langlade, a local trader, warned Captain George Etherington, but after interviewing Madjeckewiss the commandant paid no further heed. On the morning of 2 June 1763, Etherington stood outside the walls of the fort watching Madjeckewiss and his warriors vigorously engage a band of Sauks in a game of lacrosse. Suddenly the chief threw the ball over the pickets of the fort. As the Ojibwas rushed in to retrieve the ball, waiting women handed them weapons concealed beneath their blankets. Within a few minutes the garrison was killed or captured and Madjeckewiss and his men controlled the post.”

By learning and practising the art of fencing, James BABY, born in 1763 and a future politician, civil servant, judge, militia officer, and landowner, was able to reinforce his social status:

“An elder son of a prestigious family in the Detroit area, James Baby was educated in the province of Quebec under the supervision of his uncle François*. He also took lessons in fencing and dancing, activities esteemed as attributes of gentility.”

The following biographies provide additional information about sports and those who engaged in them before 1800: